## File
<<<
Record 1
Diffraction record for KRuRhCl6. The powder XRD pattern is simulated, not measured: it uses a crystal structure in Alexandria, relaxed with GGA-PBE and Cu Ka.

Top 8 peaks for 2θ = 5–70°, by angle:
d [Å]  I_rel
7.044  100
5.422  18
4.297  69
2.861  44
2.340  67
1.968  15
1.878  21
1.807  23

Cell and atoms:
a b c (Å): 6.261 6.261 7.044
angles (deg): 90.00 90.00 120.00
Fractional coordinates of all 9 atoms:
K (0.000, 0.000, 0.000)
Ru (0.667, 0.333, 0.500)
Rh (0.333, 0.667, 0.500)
Cl (0.361, 0.001, 0.314)
Cl (0.361, 0.360, 0.686)
Cl (0.640, 0.001, 0.686)
Cl (0.640, 0.639, 0.314)
Cl (0.999, 0.360, 0.314)
Cl (0.999, 0.639, 0.686)

Record 2
Diffraction record for Sc7Tl2Ga2. The powder XRD pattern is simulated, not measured: it uses a crystal structure in Alexandria, relaxed with GGA-PBE and Cu Ka.

Top 8 peaks for 2θ = 5–70°, by angle:
d [Å]  I_rel
7.454  48
4.207  89
3.203  100
3.064  35
2.834  50
2.367  75
2.294  83
1.878  41

Cell and atoms:
a b c (Å): 6.210 6.210 7.454
angles (deg): 90.00 90.00 110.31
Fractional coordinates of all 11 atoms:
Sc (0.000, 0.000, 0.000)
Sc (0.000, 0.500, 0.302)
Sc (0.000, 0.500, 0.698)
Sc (0.500, 0.000, 0.302)
Sc (0.500, 0.000, 0.698)
Sc (0.500, 0.500, 0.291)
Sc (0.500, 0.500, 0.709)
Tl (0.302, 0.698, 0.000)
Tl (0.698, 0.302, 0.000)
Ga (0.174, 0.174, 0.500)
Ga (0.826, 0.826, 0.500)

Record 3
Diffraction record for Sr2TlPt. The powder XRD pattern is simulated, not measured: it uses a crystal structure in Alexandria, relaxed with GGA-PBE and Cu Ka.

Top 8 peaks for 2θ = 5–70°, by angle:
d [Å]  I_rel
4.371  14
3.562  20
3.223  100
2.460  13
2.451  27
2.139  33
2.133  11
1.779  12

Cell and atoms:
a b c (Å): 7.417 4.266 9.077
angles (deg): 90.00 105.64 90.00
Fractional coordinates of all 8 atoms:
Sr (0.232, 0.000, 0.198)
Sr (0.268, 0.500, 0.802)
Sr (0.732, 0.500, 0.198)
Sr (0.768, 0.000, 0.802)
Tl (0.000, 0.000, 0.500)
Tl (0.500, 0.500, 0.500)
Pt (0.000, 0.500, 0.000)
Pt (0.500, 0.000, 0.000)

Record 4
Diffraction record for MgSn2P2O10. The powder XRD pattern is simulated, not measured: it uses a crystal structure in Alexandria, relaxed with GGA-PBE and Cu Ka.

Top 8 peaks for 2θ = 5–70°, by angle:
d [Å]  I_rel
5.925  90
4.184  32
3.527  27
3.371  13
3.029  56
2.961  100
2.093  32
1.583  14

Cell and atoms:
a b c (Å): 9.141 7.217 10.417
angles (deg): 59.18 42.69 78.13
Fractional coordinates of all 30 atoms:
Mg (0.000, 0.000, 0.000)
Mg (0.250, 0.250, 0.250)
Sn (0.366, 0.368, 0.413)
Sn (0.368, 0.366, 0.853)
Sn (0.397, 0.837, 0.882)
Sn (0.837, 0.397, 0.884)
P (0.187, 0.776, 0.724)
P (0.526, 0.937, 0.063)
P (0.776, 0.187, 0.313)
P (0.937, 0.526, 0.474)
O (0.017, 0.277, 0.182)
O (0.068, 0.726, 0.233)
O (0.080, 0.355, 0.454)
O (0.121, 0.301, 0.724)
O (0.138, 0.796, 0.895)
O (0.277, 0.017, 0.524)
O (0.301, 0.121, 0.854)
O (0.355, 0.080, 0.112)
O (0.361, 0.640, 0.649)
O (0.396, 0.526, 0.949)
O (0.410, 0.710, 0.285)
O (0.526, 0.396, 0.129)
O (0.601, 0.900, 0.889)
O (0.640, 0.361, 0.350)
O (0.654, 0.965, 0.540)
O (0.710, 0.410, 0.596)
O (0.726, 0.068, 0.973)
O (0.796, 0.138, 0.170)
O (0.900, 0.601, 0.610)
O (0.965, 0.654, 0.840)

Record 5
Diffraction record for Tb3SiI3. The powder XRD pattern is simulated, not measured: it uses a crystal structure in Alexandria, relaxed with GGA-PBE and Cu Ka.

Top 8 peaks for 2θ = 5–70°, by angle:
d [Å]  I_rel
3.235  8
3.063  100
2.939  9
2.220  10
2.174  22
2.156  21
2.119  14
1.742  12

Cell and atoms:
a b c (Å): 8.879 4.238 12.236
angles (deg): 90.00 90.69 90.00
Fractional coordinates of all 14 atoms:
Tb (0.097, 0.250, 0.386)
Tb (0.118, 0.250, 0.839)
Tb (0.319, 0.750, 0.621)
Tb (0.681, 0.250, 0.379)
Tb (0.882, 0.750, 0.161)
Tb (0.903, 0.750, 0.614)
Si (0.116, 0.250, 0.617)
Si (0.884, 0.750, 0.383)
I (0.135, 0.250, 0.119)
I (0.371, 0.750, 0.875)
I (0.385, 0.750, 0.368)
I (0.615, 0.250, 0.632)
I (0.629, 0.250, 0.125)
I (0.865, 0.750, 0.881)

Record 6
>>>

## Wanted
Now start at the top of the entries further up and echo each line, ending with the one that has "(0.410, 0.710,".

## Result
Record 1
Diffraction record for KRuRhCl6. The powder XRD pattern is simulated, not measured: it uses a crystal structure in Alexandria, relaxed with GGA-PBE and Cu Ka.

Top 8 peaks for 2θ = 5–70°, by angle:
d [Å]  I_rel
7.044  100
5.422  18
4.297  69
2.861  44
2.340  67
1.968  15
1.878  21
1.807  23

Cell and atoms:
a b c (Å): 6.261 6.261 7.044
angles (deg): 90.00 90.00 120.00
Fractional coordinates of all 9 atoms:
K (0.000, 0.000, 0.000)
Ru (0.667, 0.333, 0.500)
Rh (0.333, 0.667, 0.500)
Cl (0.361, 0.001, 0.314)
Cl (0.361, 0.360, 0.686)
Cl (0.640, 0.001, 0.686)
Cl (0.640, 0.639, 0.314)
Cl (0.999, 0.360, 0.314)
Cl (0.999, 0.639, 0.686)

Record 2
Diffraction record for Sc7Tl2Ga2. The powder XRD pattern is simulated, not measured: it uses a crystal structure in Alexandria, relaxed with GGA-PBE and Cu Ka.

Top 8 peaks for 2θ = 5–70°, by angle:
d [Å]  I_rel
7.454  48
4.207  89
3.203  100
3.064  35
2.834  50
2.367  75
2.294  83
1.878  41

Cell and atoms:
a b c (Å): 6.210 6.210 7.454
angles (deg): 90.00 90.00 110.31
Fractional coordinates of all 11 atoms:
Sc (0.000, 0.000, 0.000)
Sc (0.000, 0.500, 0.302)
Sc (0.000, 0.500, 0.698)
Sc (0.500, 0.000, 0.302)
Sc (0.500, 0.000, 0.698)
Sc (0.500, 0.500, 0.291)
Sc (0.500, 0.500, 0.709)
Tl (0.302, 0.698, 0.000)
Tl (0.698, 0.302, 0.000)
Ga (0.174, 0.174, 0.500)
Ga (0.826, 0.826, 0.500)

Record 3
Diffraction record for Sr2TlPt. The powder XRD pattern is simulated, not measured: it uses a crystal structure in Alexandria, relaxed with GGA-PBE and Cu Ka.

Top 8 peaks for 2θ = 5–70°, by angle:
d [Å]  I_rel
4.371  14
3.562  20
3.223  100
2.460  13
2.451  27
2.139  33
2.133  11
1.779  12

Cell and atoms:
a b c (Å): 7.417 4.266 9.077
angles (deg): 90.00 105.64 90.00
Fractional coordinates of all 8 atoms:
Sr (0.232, 0.000, 0.198)
Sr (0.268, 0.500, 0.802)
Sr (0.732, 0.500, 0.198)
Sr (0.768, 0.000, 0.802)
Tl (0.000, 0.000, 0.500)
Tl (0.500, 0.500, 0.500)
Pt (0.000, 0.500, 0.000)
Pt (0.500, 0.000, 0.000)

Record 4
Diffraction record for MgSn2P2O10. The powder XRD pattern is simulated, not measured: it uses a crystal structure in Alexandria, relaxed with GGA-PBE and Cu Ka.

Top 8 peaks for 2θ = 5–70°, by angle:
d [Å]  I_rel
5.925  90
4.184  32
3.527  27
3.371  13
3.029  56
2.961  100
2.093  32
1.583  14

Cell and atoms:
a b c (Å): 9.141 7.217 10.417
angles (deg): 59.18 42.69 78.13
Fractional coordinates of all 30 atoms:
Mg (0.000, 0.000, 0.000)
Mg (0.250, 0.250, 0.250)
Sn (0.366, 0.368, 0.413)
Sn (0.368, 0.366, 0.853)
Sn (0.397, 0.837, 0.882)
Sn (0.837, 0.397, 0.884)
P (0.187, 0.776, 0.724)
P (0.526, 0.937, 0.063)
P (0.776, 0.187, 0.313)
P (0.937, 0.526, 0.474)
O (0.017, 0.277, 0.182)
O (0.068, 0.726, 0.233)
O (0.080, 0.355, 0.454)
O (0.121, 0.301, 0.724)
O (0.138, 0.796, 0.895)
O (0.277, 0.017, 0.524)
O (0.301, 0.121, 0.854)
O (0.355, 0.080, 0.112)
O (0.361, 0.640, 0.649)
O (0.396, 0.526, 0.949)
O (0.410, 0.710, 0.285)